[Wanted]
Next, copy the whole of the calculation results below word for word.

[Given]
Below is a relaxed NaTb4YSe8 crystal, with properties calculated at the PBE level.

abc: 8.4914 8.4914 20.7832
angles: 90.00 90.00 120.00
Space group R3m (No. 160, hexagonal axes)
One atom of each set of equivalent atoms:
Na 0.0000 0.0000 0.0000 [3 per cell]
Tb 0.0000 0.0000 0.7499 [3 per cell]
Tb 0.0129 0.5064 0.8765 [9 per cell]
Y 0.0000 0.0000 0.3699 [3 per cell]
Se 0.0000 0.0000 0.1348 [3 per cell]
Se 0.0000 0.0000 0.6168 [3 per cell]
Se 0.0223 0.5112 0.1273 [9 per cell]
Se 0.1799 0.3597 0.9551 [9 per cell]

Values from the calculation:
DOS(E_F) = 0.000 states/eV/atom
Spin magnetization = 0.000 μB per atom
DFT total energy = -5.65 eV per atom
ΔE_f (raw) = -1775 meV/atom

* * * * *

Density functional theory data (PBE) for crystalline Te2RuS at its relaxed geometry.

Cell: 9.5006 9.5006 9.5006 Å, 20.11 20.11 20.11°
Atoms (fractional coordinates):
Ru 0.0000 0.0000 0.0000
S 0.5000 0.5000 0.5000
Te 0.9093 0.9093 0.9093
Te 0.0907 0.0907 0.0907

Values from the calculation:
Raw formation energy: 0.806 eV/atom
Crystal system: trigonal
VASP energy: -16.5 eV/cell
Symmetry: R-3m, No. 166

=====

Density functional theory data (PBE) for crystalline PaSbPbAu at its relaxed geometry.

Cell: 5.2415 5.2415 5.2415 Å, 60.00 60.00 60.00°
Atoms (fractional coordinates):
Pb 0.5000 0.5000 0.5000
Sb 0.7500 0.7500 0.7500
Pa 0.0000 0.0000 0.0000
Au 0.2500 0.2500 0.2500

Values from the calculation:
Raw formation energy: -0.155 eV/atom
Crystal system: cubic
VASP energy: -21.2 eV/cell
Symmetry: F-43m, No. 216

=====

Density functional theory data (PBE) for crystalline Nb2IrRu2 at its relaxed geometry.

Cell: 5.1402 5.6884 6.9082 Å, 114.31 111.84 90.00°
Atoms (fractional coordinates):
Nb 0.3219 0.5248 0.6438
Nb 0.6781 0.4752 0.3562
Nb 0.1781 0.8811 0.3562
Nb 0.8219 0.1189 0.6438
Ir 0.7500 0.5000 0.0000
Ir 0.2500 0.5000 0.0000
Ru 0.8966 0.7497 0.7932
Ru 0.1034 0.2503 0.2068
Ru 0.6034 0.9566 0.2068
Ru 0.3966 0.0434 0.7932

Values from the calculation:
Polymorph energy (0 for the lowest one): 0.0 meV per atom
Crystal system: orthorhombic
VASP energy: -96.1 eV/cell
Symmetry: Ibam, No. 72

* * * * *

DFT (PBE) results for a relaxed structure of Ni4Ag.

## Properties
- space group = Pm-3m, No. 221
- spin magnetization (μB per formula unit) = 2.90
- energy above the lowest structure with this stoichiometry (eV/f.u.) = 7.75

Structure (CIF):
```
data_Ni4Ag
_cell_length_a 4.5740
_cell_length_b 4.5740
_cell_length_c 4.5740
_cell_angle_alpha 90.00
_cell_angle_beta 90.00
_cell_angle_gamma 90.00
_symmetry_space_group_name_H-M 'P 1'
_symmetry_Int_Tables_number 1
_symmetry_space_group_name_Hall 'P 1'
loop_
_atom_site_label
_atom_site_fract_x
_atom_site_fract_y
_atom_site_fract_z
_atom_site_occupancy
Ni1 0.0000 0.0000 0.0000 1
Ni2 0.0000 0.5000 0.5000 1
Ni3 0.5000 0.0000 0.5000 1
Ni4 0.5000 0.5000 0.0000 1
Ag1 0.5000 0.5000 0.5000 1
```

* * * * *

The following is a PBE with a Hubbard U calculation of crystalline CsKCrO3 at its relaxed geometry, from Alexandria. Values from VASP.

Summary:
- final energy (eV/atom) = -5.702

```
&SYSTEM
  ibrav = 0, nat = 12, ntyp = 4
/
ATOMIC_SPECIES
Cs 132.91 Cs.upf
K 39.10 K.upf
Cr 52.00 Cr.upf
O 16.00 O.upf
CELL_PARAMETERS angstrom
3.1836 -6.1566 0.0000
3.1836 6.1566 0.0000
-0.9968 0.0000 5.5767
ATOMIC_POSITIONS angstrom
Cs 2.4360 3.1325 4.1825
Cs 2.9344 -3.1325 1.3942
K 2.9344 5.1062 1.3942
K 2.4360 -5.1062 4.1825
Cr 2.9344 0.5243 1.3942
Cr 2.4360 -0.5243 4.1825
O 1.4764 0.3603 2.8708
O 2.9344 2.3033 1.3942
O 1.9748 -0.3603 0.0825
O 3.3956 0.3603 5.4942
O 2.4360 -2.3033 4.1825
O 3.8940 -0.3603 2.7059
```

[Reply]
Below is a relaxed NaTb4YSe8 crystal, with properties calculated at the PBE level.

abc: 8.4914 8.4914 20.7832
angles: 90.00 90.00 120.00
Space group R3m (No. 160, hexagonal axes)
One atom of each set of equivalent atoms:
Na 0.0000 0.0000 0.0000 [3 per cell]
Tb 0.0000 0.0000 0.7499 [3 per cell]
Tb 0.0129 0.5064 0.8765 [9 per cell]
Y 0.0000 0.0000 0.3699 [3 per cell]
Se 0.0000 0.0000 0.1348 [3 per cell]
Se 0.0000 0.0000 0.6168 [3 per cell]
Se 0.0223 0.5112 0.1273 [9 per cell]
Se 0.1799 0.3597 0.9551 [9 per cell]

Values from the calculation:
DOS(E_F) = 0.000 states/eV/atom
Spin magnetization = 0.000 μB per atom
DFT total energy = -5.65 eV per atom
ΔE_f (raw) = -1775 meV/atom

* * * * *

Density functional theory data (PBE) for crystalline Te2RuS at its relaxed geometry.

Cell: 9.5006 9.5006 9.5006 Å, 20.11 20.11 20.11°
Atoms (fractional coordinates):
Ru 0.0000 0.0000 0.0000
S 0.5000 0.5000 0.5000
Te 0.9093 0.9093 0.9093
Te 0.0907 0.0907 0.0907

Values from the calculation:
Raw formation energy: 0.806 eV/atom
Crystal system: trigonal
VASP energy: -16.5 eV/cell
Symmetry: R-3m, No. 166

=====

Density functional theory data (PBE) for crystalline PaSbPbAu at its relaxed geometry.

Cell: 5.2415 5.2415 5.2415 Å, 60.00 60.00 60.00°
Atoms (fractional coordinates):
Pb 0.5000 0.5000 0.5000
Sb 0.7500 0.7500 0.7500
Pa 0.0000 0.0000 0.0000
Au 0.2500 0.2500 0.2500

Values from the calculation:
Raw formation energy: -0.155 eV/atom
Crystal system: cubic
VASP energy: -21.2 eV/cell
Symmetry: F-43m, No. 216

=====

Density functional theory data (PBE) for crystalline Nb2IrRu2 at its relaxed geometry.

Cell: 5.1402 5.6884 6.9082 Å, 114.31 111.84 90.00°
Atoms (fractional coordinates):
Nb 0.3219 0.5248 0.6438
Nb 0.6781 0.4752 0.3562
Nb 0.1781 0.8811 0.3562
Nb 0.8219 0.1189 0.6438
Ir 0.7500 0.5000 0.0000
Ir 0.2500 0.5000 0.0000
Ru 0.8966 0.7497 0.7932
Ru 0.1034 0.2503 0.2068
Ru 0.6034 0.9566 0.2068
Ru 0.3966 0.0434 0.7932

Values from the calculation:
Polymorph energy (0 for the lowest one): 0.0 meV per atom
Crystal system: orthorhombic
VASP energy: -96.1 eV/cell
Symmetry: Ibam, No. 72

* * * * *

DFT (PBE) results for a relaxed structure of Ni4Ag.

## Properties
- space group = Pm-3m, No. 221
- spin magnetization (μB per formula unit) = 2.90
- energy above the lowest structure with this stoichiometry (eV/f.u.) = 7.75

Structure (CIF):
```
data_Ni4Ag
_cell_length_a 4.5740
_cell_length_b 4.5740
_cell_length_c 4.5740
_cell_angle_alpha 90.00
_cell_angle_beta 90.00
_cell_angle_gamma 90.00
_symmetry_space_group_name_H-M 'P 1'
_symmetry_Int_Tables_number 1
_symmetry_space_group_name_Hall 'P 1'
loop_
_atom_site_label
_atom_site_fract_x
_atom_site_fract_y
_atom_site_fract_z
_atom_site_occupancy
Ni1 0.0000 0.0000 0.0000 1
Ni2 0.0000 0.5000 0.5000 1
Ni3 0.5000 0.0000 0.5000 1
Ni4 0.5000 0.5000 0.0000 1
Ag1 0.5000 0.5000 0.5000 1
```

* * * * *

The following is a PBE with a Hubbard U calculation of crystalline CsKCrO3 at its relaxed geometry, from Alexandria. Values from VASP.

Summary:
- final energy (eV/atom) = -5.702

```
&SYSTEM
  ibrav = 0, nat = 12, ntyp = 4
/
ATOMIC_SPECIES
Cs 132.91 Cs.upf
K 39.10 K.upf
Cr 52.00 Cr.upf
O 16.00 O.upf
CELL_PARAMETERS angstrom
3.1836 -6.1566 0.0000
3.1836 6.1566 0.0000
-0.9968 0.0000 5.5767
ATOMIC_POSITIONS angstrom
Cs 2.4360 3.1325 4.1825
Cs 2.9344 -3.1325 1.3942
K 2.9344 5.1062 1.3942
K 2.4360 -5.1062 4.1825
Cr 2.9344 0.5243 1.3942
Cr 2.4360 -0.5243 4.1825
O 1.4764 0.3603 2.8708
O 2.9344 2.3033 1.3942
O 1.9748 -0.3603 0.0825
O 3.3956 0.3603 5.4942
O 2.4360 -2.3033 4.1825
O 3.8940 -0.3603 2.7059
```